Weeknotes S02E10 — stocking up on Sharpies

Jo Garwood
4 min readApr 16, 2021


Black and white image of a Post-It with ‘Stocking up on Sharpies’ written in black marker
Black and white image of a Post-It with ‘Stocking up on Sharpies’ written in black marker

Back on the weeknotes after a couple of weeks silence due to bank holidays and annual leave!


I spent some time catching up on emails and Slack after my week off (with some motivational music blasting out in the background — playlist here for anyone interested).

We also decided on ‘Stand & Deliver’ as the name for our new format for the fortnightly Community of Practice stands-ups — the gang is now encouraged to use this as protected time to:

  • Bring a challenge (if timings align — shame that all our big challenges don’t occur every two weeks on a Monday morning eh!)
  • Share a success
  • Peer support — buddy up to agree shadowing or work through a problem together
  • Add templates to the Delivery Toolkit we are building (guides and templates)
  • Make an ask for another Delivery Manager to facilitate each other’s ceremonies
  • Drop in with myself or Matt White (Head of Delivery)


Highlight of the day for me was my intro meeting with Manish Lad, our Tech Lead on Case Management — we chatted about a whole host of stuff, including leadership, the limits of starting remotely for those all-important connections you need to make in a new job, communities of practice, and the fact we’d both had previous roles in a university context. Our time together included me wittering on with my usual spiel about starting my career in editorial when monthly newsletter were hardcopies sent in the post, social media didn’t exist, ‘when it was all green fields round here’, ‘using jumpers for goalposts’ and generally showing my age! Thanks for humouring me Manish ;-)

Attached: crystal structures:
____________
1.
## RePbO3 (PBE-GGA)

Data for a relaxed structure of RePbO3.

It has space group Pnma (No. 62), with a = 5.0859 Å, b = 8.4970 Å, c = 6.5512 Å, α = 90.00°, β = 90.00° and γ = 90.00°. The asymmetric unit holds Re at (0.0555, 0.2500, 0.0274), Pb at (0.0000, 0.0000, 0.5000), O at (0.0591, 0.5938, 0.1428) and O at (0.2385, 0.2500, 0.2966).



2.
## LuIrNO (PBE-GGA)

Data for a relaxed structure of LuIrNO.

It has space group P4/nmm (No. 129, origin choice 2), with a = 4.8006 Å, b = 4.8006 Å, c = 4.2301 Å, α = 90.00°, β = 90.00° and γ = 90.00°. The asymmetric unit holds Lu at (0.2500, 0.7500, 0.0000), Ir at (0.2500, 0.2500, 0.4963), N at (0.2500, 0.2500, 0.9958) and O at (0.2500, 0.7500, 0.5000).



3.
## NaYCoS3 (PBE-GGA)

Data for a relaxed structure of NaYCoS3.

It has space group Cmcm (No. 63), with a = 3.8534 Å, b = 12.7677 Å, c = 10.4492 Å, α = 90.00°, β = 90.00° and γ = 90.00°. The asymmetric unit holds Na at (0.0000, 0.2483, 0.2500), Y at (0.0000, 0.0000, 0.0000), Co at (0.0000, 0.4712, 0.7500), S at (0.0000, 0.0747, 0.7500) and S at (0.0000, 0.3651, 0.5786).



4.
## HoTmGaC (PBE-GGA)

Data for a relaxed structure of HoTmGaC.

It has space group P-6m2 (No. 187), with a = 3.5328 Å, b = 3.5328 Å, c = 15.3869 Å, α = 90.00°, β = 90.00° and γ = 120.00°. The asymmetric unit holds Ho at (0.0000, 0.0000, 0.1642), Tm at (0.3333, 0.6667, 0.3389), Ga at (0.0000, 0.0000, 0.5000), Ga at (0.3333, 0.6667, 0.0000) and C at (0.6667, 0.3333, 0.2513).



The calculation returns the following total magnetic moment values, one per record and in order: 0.01 0.04 2.99 0.26 μB per formula unit.
The calculation returns the following electronic total energy values, one per record and in order: -0.259 -0.277 -0.211 -0.210 hartree per atom.

~~~~~

Record 1
A plane-wave DFT calculation with PBE was carried out for BiPd2Cl after structural relaxation.

Computed properties:
Space group: No. 122
DOS(E_F) (states/eV per cell): 2.30
ΔE_f (raw) (eV per atom): -0.05

Lattice parameters (Å, degrees): 6.0256 6.0256 6.0256 104.34 104.34 120.31
Last column: nearest neighbours and their distance in Å.
Positions (direct):
Bi1 0.0000 0.0000 0.0000  4 Pd 2.77, 2 Cl 3.00
Bi2 0.7500 0.2500 0.5000  4 Pd 2.77, 2 Cl 3.00
Pd1 0.1358 0.6250 0.0108  2 Cl 2.66, 2 Bi 2.77
Pd2 0.3750 0.3858 0.5108  2 Cl 2.66, 2 Bi 2.77
Pd3 0.6142 0.1250 0.9892  2 Cl 2.66, 2 Bi 2.77
Pd4 0.8750 0.8642 0.4892  2 Cl 2.66, 2 Bi 2.77
Cl1 0.2500 0.7500 0.5000  4 Pd 2.66
Cl2 0.5000 0.5000 0.0000  4 Pd 2.66

---

Record 2
A plane-wave DFT calculation with PBE was carried out for TcMo after structural relaxation.

Computed properties:
Formation enthalpy at 0 K (eV/f.u.): 0.25
Space group: No. 67
DOS(E_F) (states/eV per cell): 4.46

Lattice parameters (Å, degrees): 2.7029 2.7029 8.8506 90.00 90.00 108.96
Last column: nearest neighbours and their distance in Å.
Positions (direct):
Tc1 0.2500 0.7500 0.8771  6 Tc 2.68-2.70, 2 Mo 2.71
Tc2 0.7500 0.2500 0.1229  6 Tc 2.68-2.70, 2 Mo 2.71
____________


I did my end of year performance and development check-in with Matt, looking at my objectives, development and feedback from the last year, which was ace. It was a strange year for all of us with Covid-19 and I had some real challenges to overcome at various points. It felt good to officially close that chapter and focus on what I’ll be doing in 2021/22.

I also did some planning for Monday’s Community of Practice, where we’ll be revisiting our vision and alliance (which we created back in 2019!) to check they still resonate, and looking at our goals for the coming year, making sure we factor in the great ideas we came up with in our futurespective last month.


Our new format for our Extended Leadership Team (ELT) meetings was launched with aplomb by Anneli (Product Design Lead), including a sheep-based check-in and a deep dive discussion on two key topics for us as a group — ‘Outcomes and strategy — including business planning and budgets’ and ‘Risks, blockers, interdependencies between teams’. We’ve split our weekly time together into a more formal meeting twice a month and informal working together time twice a month and I’m really excited to see how this plays out over the coming weeks.

### Data records, kept here for reference
<<<
# PrMgAg4 PBE relaxed
# Total magnetization, μB per formula unit: 0.0
# Total DFT energy (no corrections), eV per atom: -3.17
# Polymorph energy (0 for the lowest one), meV per atom: 0
# E_form, eV per atom: -0.20
# Crystal system: cubic
data_PrMgAg4
_chemical_formula_sum 'Pr1 Mg1 Ag4'
_symmetry_space_group_name_H-M 'P 1'
_symmetry_Int_Tables_number 1
_cell_length_a 5.6681
_cell_length_b 5.6681
_cell_length_c 5.6681
_cell_angle_alpha 60.00
_cell_angle_beta 60.00
_cell_angle_gamma 60.00
loop_
_symmetry_equiv_pos_as_xyz
'x,y,z'
loop_
_atom_site_label
_atom_site_fract_x
_atom_site_fract_y
_atom_site_fract_z
Pr1 0.0000 0.0000 0.0000
Mg1 0.2500 0.2500 0.2500
Ag1 0.1276 0.6241 0.6241
Ag2 0.6241 0.1276 0.6241
Ag3 0.6241 0.6241 0.1276
Ag4 0.6241 0.6241 0.6241


SrFe4Pt: optimized geometry, PBE.

Structure (POSCAR):
```
SrFe4Pt
1.0
0.000 3.610 3.610
3.610 0.000 3.610
3.610 3.610 0.000
Sr Fe Pt
1 4 1
direct
0.000 0.000 0.000
0.126 0.625 0.625
0.625 0.126 0.625
0.625 0.625 0.126
0.625 0.625 0.625
0.250 0.250 0.250
```

Properties
* ΔH_f (0 K): 1.32 eV/f.u.
* calculated density: 8932 kg/m³
* VASP energy: -6.709 eV/atom
* magnetic moment: 1.8321 μB/atom
* N(E_F): 5.2 states/eV per cell


DFT (PBE) results for a relaxed structure of AcZnCo.

- Energy relative to the lowest polymorph listed for this composition: 4.96 kJ per mole of atoms
- E_tot: -4.244 eV/atom
- Fermi-level density of states: 1.453 states/eV/atom

Cell: 4.2349 4.2349 9.8411 Å, 102.40 102.40 60.06°
Sites, in units of the cell vectors:
Ac (0.2462, 0.2462, 0.2409)
Ac (0.7538, 0.7538, 0.7591)
Zn (0.0000, 0.0000, 0.5000)
Zn (0.5000, 0.5000, 0.0000)
Co (0.3450, 0.3450, 0.5342)
Co (0.6550, 0.6550, 0.4658)

DFT (PBE) results for a relaxed structure of ScNiPS2.

- Energy relative to the lowest polymorph listed for this composition: 0.00 kJ per mole of atoms
- Uncorrected formation energy: -1.209 eV per formula unit
- E_tot: -5.397 eV/atom
- Fermi-level density of states: 0.647 states/eV/atom

Cell: 4.5667 4.5667 4.2281 Å, 90.00 90.00 90.00°
Sites, in units of the cell vectors:
Sc (0.0000, 0.0000, 0.0000)
Ni (0.5000, 0.5000, 0.5000)
P (0.5000, 0.5000, 0.0000)
S (0.0000, 0.5000, 0.5000)
S (0.5000, 0.0000, 0.5000)

DFT (PBE) results for a relaxed structure of Ce4AsIrBr2.

- Uncorrected formation energy: -9.229 eV per formula unit
- E_tot: -6.228 eV/atom
- Fermi-level density of states: 3.062 states/eV/atom

Cell: 7.4731 4.1131 7.4914 Å, 90.00 107.88 90.00°
Sites, in units of the cell vectors:
Ce (0.2229, 0.0000, 0.2095)
Ce (0.2503, 0.5000, 0.7769)
Ce (0.7497, 0.5000, 0.2231)
Ce (0.7771, 0.0000, 0.7905)
As (0.5000, 0.0000, 0.0000)
Ir (0.0000, 0.5000, 0.0000)
Br (0.0000, 0.0000, 0.5000)
Br (0.5000, 0.5000, 0.5000)


This record from Alexandria via LeMat-Bulk describes a geometry-optimized PmHo3Tm6Sc2 structure. The functional is PBE.

Calculated values
>>>
### End of the data records

In the afternoon I went into the London office to clear my locker — and I couldn’t even remember which floor we were on! But I binned all my random stuff, thanked God I didn’t leave any food in my locker and stocked up on Sharpies.

I only had 6 months in the office from my start date before we all started working remotely, which on reflection seems such a short time! It simultaneously felt like I’d been in last week and hadn’t been there for decades.

What comes next are materials data, not part of the entry =
- - -
Record 1
ScTl2Tc | SCAN | single point on PBEsol structure

Results
- ΔE_f (meV per atom) = 129.2
- total DFT energy (no corrections) (eV per atom) = -48.37
- crystal system = orthorhombic
- relative energy among the computed polymorphs (eV per atom) = 0.046
- DOS(E_F) (states/eV/f.u.) = 1.6

abc: 3.713 4.692 9.002
angles: 90.00 90.00 90.00
Positions (direct):
1 Sc 0.000 0.000 0.000
2 Sc 0.500 0.500 0.500
3 Tl 0.000 0.500 0.242
4 Tl 0.000 0.500 0.758
5 Tl 0.500 0.000 0.258
6 Tl 0.500 0.000 0.742
7 Tc 0.000 0.000 0.500
8 Tc 0.500 0.500 0.000

***

Record 2
ScTl2Tc | SCAN | single point on PBEsol structure

Results
- ΔE_f (meV per atom) = 213.4
- total DFT energy (no corrections) (eV per atom) = -48.29
- crystal system = monoclinic
- relative energy among the computed polymorphs (eV per atom) = 0.130
- DOS(E_F) (states/eV/f.u.) = 2.2

abc: 3.045 4.610 5.841
angles: 90.00 104.70 90.00
Positions (direct):
1 Sc 0.000 0.000 0.000
2 Tl 0.409 0.500 0.739
3 Tl 0.591 0.500 0.261
4 Tc 0.000 0.000 0.500

***

Record 3
ScTl2Tc | SCAN | single point on PBEsol structure

Results
- ΔE_f (meV per atom) = 83.3
- total DFT energy (no corrections) (eV per atom) = -48.42
- crystal system = tetragonal
- relative energy among the computed polymorphs (eV per atom) = 0.000
- DOS(E_F) (states/eV/f.u.) = 1.8

abc: 4.309 4.309 8.241
angles: 90.00 90.00 90.00
Positions (direct):
1 Sc 0.000 0.000 0.000
2 Sc 0.500 0.500 0.500
3 Tl 0.000 0.500 0.250
4 Tl 0.000 0.500 0.750
5 Tl 0.500 0.000 0.250
6 Tl 0.500 0.000 0.750
7 Tc 0.000 0.000 0.500
8 Tc 0.500 0.500 0.000

***

Record 4
Sc2TcW | SCAN | single point on PBEsol structure

Results
- ΔE_f (meV per atom) = -112.1
- total DFT energy (no corrections) (eV per atom) = -33.42
- crystal system = tetragonal
- relative energy among the computed polymorphs (eV per atom) = 0.000
- DOS(E_F) (states/eV/f.u.) = 1.7

abc: 3.123 3.123 7.553
angles: 90.00 90.00 90.00
Positions (direct):
1 Sc 0.000 0.000 0.000
2 Sc 0.500 0.500 0.343
3 Tc 0.000 0.000 0.565
4 W 0.500 0.500 0.755

***

Record 5
ScTcW | SCAN | single point on PBEsol structure

Results
- ΔE_f (meV per atom) = 108.7
- total DFT energy (no corrections) (eV per atom) = -39.55
- crystal system = orthorhombic
- relative energy among the computed polymorphs (eV per atom) = 0.255
- DOS(E_F) (states/eV/f.u.) = 2.5

abc: 3.142 4.592 13.515
angles: 90.00 90.00 90.00
Positions (direct):
1 Sc 0.000 0.000 0.000
2 Sc 0.000 0.500 0.500
3 Sc 0.500 0.000 0.500
4 Sc 0.500 0.500 0.000
5 Tc 0.000 0.000 0.667
6 Tc 0.000 0.500 0.167
7 Tc 0.500 0.000 0.167
8 Tc 0.500 0.500 0.667
9 W 0.000 0.000 0.319
10 W 0.000 0.500 0.819
11 W 0.500 0.000 0.819
12 W 0.500 0.500 0.319

***

Record 6
ScTc3W | SCAN | single point on PBEsol structure

Results
- ΔE_f (meV per atom) = 1154.0
- total DFT energy (no corrections) (eV per atom) = -36.67
- crystal system = cubic
- DOS(E_F) (states/eV/f.u.) = 6.6

abc: 4.633 4.633 4.633
angles: 90.00 90.00 90.00
Positions (direct):
1 Sc 0.000 0.000 0.000
2 Tc 0.000 0.500 0.500
- - -

I also went into a little philosophical bubble on my journey in, thinking about how our commutes are times when we really live in our own inner worlds which no-one else knows about (the people you always see, the books you read, the music or podcasts you listen to, the buildings you always notice on the way in, all the random thoughts you have, catching up on WhatsApp you do, etc. etc. etc.) and how much I miss having that dedicated ‘me time’ in such a regular, structured way.


Today I’m working on finalising the planning and agenda for our first ever Design, Data and Technology (DDaT) Get Together next Thursday, including an update on the recent Tech Committee meeting, our next steps following on from the Big Room Planning sessions we ran a few weeks back (which was with all 22 teams across the directorate to align our work to 7 key outcomes, see each other’s plans and create roadmaps for the next quarter and beyond), lightning talks from our teams, and getting feedback on the format to build into future events.

Launderettes, penknives, creative writing and other stuff…

Garden shed in a pub garden with a big lampshade and two cushions with a black and white pattern
Our cosy anniversary nook at a South London pub

My girlfriend and I (we’ve settled on ‘Fondant Fancy’ instead of fiancée, just as an FYI for any regular readers) celebrated our two year anniversary with a trip to the pub this week! In an unforgivable blunder, I booked the last slot available for 9pm, thinking it was a dinner booking but the kitchen had closed! We were ravenous and angry and ready to kill for food, any food, but we still had a couple of drinks and a lovely time in the tiny garden sheds they’ve stuck out the back…



Jo Garwood

Delivery Lead at Citizens Advice. Ex-Stonewall and UCL digital person. I like launderettes, collecting penknives and doing my best to step up as an ally.